Thursday, November 25, 2010

Recovering OWB mapping with map_reconstruct.tcl script

There is another case for using MAP_RECOSTRUCT.tcl script (except using for export/import mappings between environments). Sometime dueto OWB bug/OWB repository corruption it is impossible to open map for editing in Design Center (in my practice this happened twice as I remember). The problem usually in single operator or attribute.
In this case we can use MAP_RECOSTRUCT.tcl script for identification problem object in mapping - run this script against such corrupted mappings and script outputs in generated file error message which allow identify problem object. Release 0.0.2 of MAP_RECOSTRUCT.tcl script already contains code which output into target file comments if error raised (and script won't stop!) during extraction properties for attribute - so it is possible to get working copy of corrupted mapping...

Thursday, November 18, 2010

MAP_RECONSTRUCT script update

I slightly modified script (and OWB Expert) for generating OMB script for recreating mapping, link for download  script and OWB expert

All modifications are errors correction:
- escaping additional character in expressions and join/filter conditions
- supporting key lookup operator in OWB 11gR2 (in this release OMB returns different from previous releases type name for key lookup)
- added processing of error during extraction attribute properties (in case of error attribute will be created with NUMBER datatype, in generated script inserted comment with description of problem)

For first two identified and corrected bugs thanks to Patrick (unfortunately I don't know him full name)!

Tuesday, November 16, 2010

OneClickETL release 0.1.1

New release of OneClickETL script available for download - OneClickETL-0.1.1.tcl.
Now it allows generate mappings with SCD Type 1 loading type.

Updated Excel file OneClickETL_OE2SH.xls contains additional sheet for SCD1 mapping.

Example of specification for SCD1 mapping

To generate SCD1 mapping specify in C1 cell "SCD1" value. In D column you need to specify role for target columns:
- PRIMARYKEY - this column will be used for matching condition
- TRIGGEREDATTRIBUTE - this column willbe inserted and updated
- empty cell - this column will be only inserted

Monday, November 8, 2010

Prototype of OneClickETL script

ATTENTION! Script drops mappings specified in Excel file!

I released prototype of script which generate set of OWB mappings based on mapping specification from MS Excel file.
Before running this script you need to copy Java Excel API library (jxl.jar file) to OWB_HOME\owb\lib\ext directory.
Java Excel API is an open-source project hosted on, homepage of this project

You can download OneClickETL script from (tcl file is script itself, and also under this folder you can find example of Excel file). Before running script change path to Excel file (value of excelFileName variable at the begining of script).
There are two types (top left cell A1 of worksheet specify it type) of Excel worksheets - the first type (DATAWAREHOUSE) specify name of existing target module, second (MAPPING) - mapping specification.
Cell A2 - it is name of object (name of target module and name of mapping). You must fill A3 cell (but currently script doesn't use value from this cell).
It is enough enter only first line for DATAWAREHOUSE sheet type. In MAPPING sheet type other rows (starting from second) describe mapping - column B contains source attribute column C - target attribute (format of attribute specification is {module name}.{table name}.{attribute name}).

To simplify learning and experimenting with OneClickETL script I also uploaded to OWBLAND Sourceforge project repository two additional files - ONECLICKETL-OE2SH.mdl with exported OWB project (ONECLICKETL) with two Oracle modules (with names OE and SH - these modules contain table definitions from corresponding standard Oracle database examples), and OneClickETL_OE2SH.xls, which contains specifications for two mappings based on this OWB project.

Example of Excel sheet with info about target module

Example of Excel sheet for mapping with mutiply source table

Generated mapping for loading SH.PROMOTIONS table (specification with single source tables)

Generated mapping for loading SH.PRODUCTS table (specification with two source tables)

Wednesday, October 13, 2010

Example of using Tk GUI (swank) in OMB*Plus

It is a preview of GUI configurator for SCD2 mapping generator script.

namespace eval ::owbeg {}

set currContext [OMBDCC]
set currCtxType [lindex $currContext 0]
set currContext [lindex $currContext 1]
#check current context type?
set tgtTableList [OMBLIST TABLES]

set ::owbeg::V_MAP_NAME MAP_TEST
set ::owbeg::P_SRC_TABLE [file join $currContext [lindex $tgtTableList 0]]
set ::owbeg::G_PARTYID_LIST bk1
set ::owbeg::P_TGT_TABLE [file join $currContext [lindex $tgtTableList 0]]
set ::owbeg::G_DET_PARTYID_LIST partyid
set ::owbeg::G_DET_STARTDATE_NAME start_date
set ::owbeg::G_DET_FINALDATE_NAME end_date
set ::owbeg::P_HISTID_SEQ seq_1

set tgtTableColumns [OMBRETRIEVE TABLE '$::owbeg::P_TGT_TABLE' GET COLUMNS]

wm title . "Parameters for SCD2 mapping generator"

frame .fttl
frame .fbot
frame .fsrc
frame .ftgt

label .fttl.lb_mapname -text "Mapping name"
entry .fttl.entr_mapname -textvariable ::owbeg::V_MAP_NAME -width 40
grid .fttl.lb_mapname
grid .fttl.entr_mapname

button .fbot.butok -text "Generate" -command "run_gen_proc"
grid .fbot.butok

label .fsrc.lb_srctab -text "Source table"
button .fsrc.but_srctab -text "Choose" -command "chooseSrcTable"
entry .fsrc.entr_srctab -textvariable ::owbeg::P_SRC_TABLE -width 25
label .fsrc.lb_srcbuskey -text "BusinessKey column"
jcombobox .fsrc.cb_srcbuskey -variable ::owbeg::G_PARTYID_LIST -width 10
eval ".fsrc.cb_srcbuskey item append $tgtTableColumns"
grid .fsrc.lb_srctab .fsrc.but_srctab -sticky wn
grid .fsrc.entr_srctab -columnspan 2 -sticky w
grid .fsrc.lb_srcbuskey -columnspan 2 -sticky w
grid .fsrc.cb_srcbuskey -columnspan 2 -sticky w

label .ftgt.lb_tgttab -text "Target table"
button .ftgt.but_tgttab -text "Choose" -command "chooseTgtTable"
entry .ftgt.entr_tgttab -textvariable ::owbeg::P_TGT_TABLE -width 25
label .ftgt.lb_tgtbuskey -text "BusinessKey column"
jcombobox .ftgt.cb_tgtbuskey -variable ::owbeg::G_DET_PARTYID_LIST -width 10
eval ".ftgt.cb_tgtbuskey item append $tgtTableColumns"
label .ftgt.lb_tgthistid -text "Dimension key column"
jcombobox .ftgt.cb_tgthistid -variable ::owbeg::G_DET_HISTID_NAME -width 10
eval ".ftgt.cb_tgthistid item append $tgtTableColumns"
label .ftgt.lb_tgtstrtdate -text "Start date column"
jcombobox .ftgt.cb_tgtstrtdate -variable ::owbeg::G_DET_STARTDATE_NAME -width 10
eval ".ftgt.cb_tgtstrtdate item append $tgtTableColumns"
label .ftgt.lb_tgtenddate -text "End date column"
jcombobox .ftgt.cb_tgtenddate -variable ::owbeg::G_DET_ENDDATE_NAME -width 20
eval ".ftgt.cb_tgtenddate item append $tgtTableColumns"
label .ftgt.lb_seqname -text "Dimension key sequence"
jcombobox .ftgt.cb_seqname -variable ::owbeg::P_HISTID_SEQ -width 20
eval ".ftgt.cb_seqname item append $tgtSeqList"
grid .ftgt.lb_tgttab .ftgt.but_tgttab -sticky w
grid .ftgt.entr_tgttab -columnspan 2 -sticky w
grid .ftgt.lb_tgtbuskey -columnspan 2 -sticky w
grid .ftgt.cb_tgtbuskey -columnspan 2 -sticky w
grid .ftgt.lb_tgthistid -columnspan 2 -sticky w
grid .ftgt.cb_tgthistid -columnspan 2 -sticky w
grid .ftgt.lb_tgtstrtdate -columnspan 2 -sticky w
grid .ftgt.cb_tgtstrtdate -columnspan 2 -sticky w
grid .ftgt.lb_tgtenddate -columnspan 2 -sticky w
grid .ftgt.cb_tgtenddate -columnspan 2 -sticky w
grid .ftgt.lb_seqname -columnspan 2 -sticky w
grid .ftgt.cb_seqname -columnspan 2 -sticky w

grid .fttl -columnspan 2
grid .fsrc .ftgt -sticky n
grid .fbot -columnspan 2

proc chooseSrcTable {} {
  tk_messageBox -message "Choose source table" -type ok
proc chooseTgtTable {} {
  tk_messageBox -message "Choose target table" -type ok

proc run_gen_proc {} {
  destroy .fttl
  destroy .fbot
  destroy .fsrc
  destroy .ftgt
  puts $::owbeg::G_PARTYID_LIST

proc tab_dlg_choose {} {
puts "[.jd.f.tree path get]"
destroy .jd

proc tree_dialog {} {
jdialog .jd
frame .jd.f
button .jd.f.butok -text OK -command "tab_dlg_choose"
.jd add .jd.f
jtree .jd.f.tree
.jd.f.tree node add root "OWB"
.jd.f.tree node add -1 "Tables"
.jd.f.tree node add -1 "Views"
.jd.f.tree node add 0 "T1"
.jd.f.tree node add 0 "T2"
.jd.f.tree node add 0 "T3"
.jd.f.tree node add 0 "T4"
.jd.f.tree node add 1 "T1"
.jd.f.tree node add 1 "T1"
.jd.f.tree node add 1 "T1"
.jd.f.tree node add 1 "T1"
pack .jd.f.butok -side bottom
pack .jd.f.tree -side top
.jd configure -modal 1 -visible 1

# tree_dialog

proc my_dialog {} {
namespace eval ::mydlgproc {}
set ::mydlgproc::newTab ""
set newt2 ""
jdialog .jd
frame .jd.f
button .jd.f.butok -text OK -command {puts $::mydlgproc::newTab ; set ::mydlgproc::newTab aa; destroy .jd;}
.jd add .jd.f
pack .jd.f.butok -side bottom
.jd configure -visible 1
vwait ::mydlgproc::newTab
set newt2 $::mydlgproc::newTab
namespace delete ::mydlgproc
return $newt2

Thursday, September 23, 2010

OMB*Plus extensibility - Tk GUI in OMB*Plus

One of the important feature of OWB10g R2 is integration into design client Tcl-based scripting language (OMB*Plus) enhaced with GUI componets - OWB Expert. OWB Expert allow execution of OMB script dirrectly from design client (it is possible to add new command to context menu called from project tree). GUI components play secondary role - the main purpose of these components is setting of paramters passed to OMB script, for example there is component for choosing table from specified module (so usually GUI component perform single task). In most cases for execution of simple task we needed to compose a sequence of sevaral components (choosing module -> choosing table, etc.) - it was quite inconvenient.Maybe the most interesting component is Custom Dialog (allow create dialog windows with several items like text field, label, radio button, etc.), but it has one drawback - this window is non-interactive (there is no way to specify reply for user action, like choosing new value in list, enabling/disabling check box, etc.).

Tcl interpreter allows to write GUI application with Tk extension. And as I explored there is GUI extension for Jacl Tcl-interpreter (OMB*Plus is based on Jacl/tcljava). Name of this extension is SWANK.
Link to swank

Last jar-file of swank compiled with lates Java compiler, so the best way to experiment - use last OWB release (OWB11g R2 which use Java 6 for execution).
Configuration steps:
  • copy swank.jar file to OWB_HOME\owb\lib\ext directory;
  • add to ombinit.tcl file (OWB_HOME\owb\bin/admin directory) at the end line
    source -url resource:/com/onemoonscientific/swank/library/init.tcl.
OMB*Plus example with Tk widgets:

namespace eval ::owbland {}

set ::owbland::res "a"
jcombobox .combproj -variable ::owbland::res -command "procCSEL"
foreach proj $projList {
.combproj item append $proj
pack .combproj -side top

listbox .projlist -height 5
pack .projlist -side bottom

wm title . "Super;) Module Viewer"
wm geometry . 400x250

proc procCSEL {} {
  #puts "selected"
  OMBCC '/$::owbland::res'
  if {[catch {set modList [OMBLIST ORACLE_MODULES]} err]} {
    puts $err
  } else {
    #puts $modList
    set lstSz [.projlist size]
    .projlist delete 0 [expr {$lstSz-1}]
    foreach mod $modList {.projlist insert end $mod}

Monday, September 20, 2010

• Here the text breaks off for data records:
- - -
The following is a DFT calculation (ωB97M-V/def2-TZVPD) of a molecular structure, C21H38Cl20N3O at a distorted geometry.

Calculated values
* E_HOMO: -11.80 eV
* DFT total energy: -279343.0447 eV
* total charge: +1

Cartesian coordinates (Å):
C 3.859 0.239 2.632
C 3.063 1.020 1.619
N 3.229 0.645 0.165
C 3.637 -0.725 -0.414
C 3.667 -0.626 -2.080
N 3.260 0.836 -2.326
C 3.018 1.572 -1.005
C 2.624 3.146 -1.155
C 1.933 3.849 0.147
C 0.388 3.393 0.459
C -0.543 3.131 -0.862
N -0.411 1.769 -1.496
C -0.631 0.630 -0.529
C -1.916 0.420 0.469
O 0.363 -0.298 -0.454
H 4.482 -0.722 2.389
H 3.803 0.575 3.757
H 2.332 1.831 2.056
H 3.920 -1.705 0.195
H 3.930 -1.453 -2.865
H 3.167 1.247 -3.296
H 1.949 3.244 -2.135
H 3.623 3.743 -1.388
H 1.887 5.019 -0.086
H 2.641 3.767 1.103
H 0.414 2.516 1.236
H -0.111 4.313 1.035
H -0.338 4.023 -1.629
H -1.682 3.255 -0.548
H 0.447 1.660 -2.078
H -1.682 0.691 1.608
H -2.863 0.977 0.057
H -2.159 -0.738 0.469
C 0.286 -3.474 -1.354
Cl 1.166 -5.002 -1.226
Cl -1.252 -3.694 -2.196
H 0.090 -3.092 -0.349
H 0.896 -2.758 -1.909
C 1.486 7.113 2.846
Cl 2.366 5.585 2.974
Cl -0.052 6.893 2.004
H 1.290 7.495 3.851
H 2.096 7.829 2.291
C -3.720 -0.823 -3.669
Cl -2.479 0.337 -3.181
Cl -4.189 -0.582 -5.356
H -3.327 -1.836 -3.550
H -4.599 -0.692 -3.033
C 0.950 -8.645 -2.616
Cl 1.829 -10.173 -2.489
Cl -0.589 -8.864 -3.459
H 0.754 -8.262 -1.612
H 1.560 -7.928 -3.171
C 1.443 -1.741 5.293
Cl 2.685 -0.580 5.781
Cl 0.975 -1.499 3.606
H 1.837 -2.753 5.412
H 0.564 -1.610 5.929
C -4.084 -9.729 -2.684
Cl -4.788 -8.151 -2.313
Cl -4.930 -10.503 -4.029
H -3.034 -9.596 -2.954
H -4.159 -10.369 -1.801
C -8.074 -1.764 -6.306
Cl -9.214 -0.435 -6.543
Cl -7.696 -1.981 -4.593
H -8.516 -2.686 -6.693
H -7.151 -1.542 -6.848
C 1.406 -2.259 -4.911
Cl 2.078 -1.413 -3.511
Cl 0.463 -1.160 -5.926
H 2.225 -2.675 -5.502
H 0.756 -3.065 -4.561
C 2.683 6.632 6.528
Cl 2.890 8.099 5.564
Cl 1.162 5.821 6.135
H 3.513 5.951 6.322
H 2.680 6.899 7.587
C -1.972 4.184 8.324
Cl -0.731 5.344 8.812
Cl -2.441 4.425 6.637
H -1.578 3.171 8.443
H -2.851 4.315 8.960
- - -

OMB*Plus extensibility - commands redefinition at startup with ombinit.tcl

There is simpler solution for defining commands during OMB*Plus startup - at startup OMB*Plus executes ombinit.tcl script located in OWB_HOME\owb\bin\admin directory.
This file contains definition of several procedures and version from OWB10g R2 also contains code for correcting of multiple path in TCLLIBPATH. In previous post (part 1 of OMB*Plus extensibility) I said that it is impossible to define more than one path in TCLLIBPATH - but with this procedure in ombinit.tcl TCLLIBPATH allow multiple paths sepparated by space.

Here is another addition to previous post - how to modify auto_mkindex to work.
As I said tcljava implementation of auto_mkindex contains a bug (it exist even in last tcljava release).
auto_mkindex is a general Tcl procedure which defined in init.tcl file (in tcljava implementation this file located in jacl.jar archive).
The first we need extract init.tcl file from archive - start command line in Windows and execute commands (suppose OWB installed in c:\oracle\owb10g_r2):

C:\>cd \oracle\owb10g_R2\owb\lib\int
C:\Oracle\owb10g_R2\owb\lib\int>..\..\..\jdk\bin\jar -xf jacl.jar tcl/lang/library/init.tcl

As result we get file C:\Oracle\owb10g_R2\owb\lib\int\tcl\lang\library\init.tcl, we need to modify it  -
find in file line
puts $f $index nonewline
and replace it with
puts -nonewline $f $index

Now from command line move modified file back to archive

C:\Oracle\owb10g_R2\owb\lib\int>..\..\..\jdk\bin\jar -uf jacl.jar tcl\lang\library\init.tcl

Now auto_mkindex works under OMB*Plus:

OMB*Plus: Release
Copyright (c) 2000, 2006, Oracle. All rights reserved.
OMB+> auto_mkindex c:/oracle/tcllib myprocedure.tcl

Sunday, September 19, 2010

OMB*Plus extensibility

OMB*Plus extensibility - defining new command automatically during startup.

There are several ways to extend features of OMB*Plus for development.
OMB*Plus is an TCL interpreter based on tcljava implementation (look at OWB_HOME\owb\lib\int directory - you will find jacl.jar and tcljava.jar files which are the core of tcljava interpreter).

It is quite simple in Tcl (and in OMB*Plus) add new command - after definition of new procedure you will get new command with the name of just created procedure:

OMB*Plus: Release
Copyright (c) 2000, 2006, Oracle. All rights reserved.
OMB+> proc MYCOMMAND {txt} {
>   return $txt
> }
OMB+> MYCOMMAND "Text from procedure"
Text from procecure

If you have a lot such procedures (and use them extensively) you can include them in single file and execute this file with source command each time you start OMB*Plus.
It is possible to automate this procedure with Tcl auto_load (search for auto_load or auto_path on site) feature. When Tcl interpreter cannot find called command withing standard (internal) commands or defined procedures it looks directory from auto_path variable for definitions of this command via tclIndex file (this file contains for each "external" command/procedure reference to file with it definition), run file with definition this command (via source Tcl command) and finally - run requested command.

To enable auto_load feature in OMB*Plus we should make three things:
  • create file with definition of new procedure and place this file in selected directory (say to c:\oracle\tcllib)
  • create tclIndex file in the same directory
  • guide OMB*Plus where look for definitions of new procedures
First task is clear - place our MYCOMMAND procedure in file with name MyProcedure.tcl under c:\oracle\tcllib directory.
Tcl contains standard command auto_mkindex for creation tclIndex file, but tcljava implementation contains bug which prevent using this command. So we will create tclIndex file manualy (the first line is VERY IMPORTANT!):

# Tcl autoload index file, version 2.0
set auto_index(MYCOMMAND) [list source [file join $dir MyProcedure.tcl]]

Now if we add to auto_path variable our directory (MyProcedure) we will get possibility to run commands indexed in tclIndex file:

OMB+> puts $auto_path
OMB+> info commands MY*
invalid command name "MYCOMMAND"
OMB+> lappend auto_path c:/oracle/tcllib
resource:/tcl/lang/library c:/oracle/tcllib
OMB+> puts $auto_path
resource:/tcl/lang/library c:/oracle/tcllib
OMB+> info commands MY*

OMB+> MYCOMMAND "Text to display"
Text to display
OMB+> info commands MY*

And last thing - to set auto_path automatically it is enogh to define new environment variable TCLLIBPATH (the only problem - it seems impossible to define more than one directory via TCLLIBPATH, general method for sepparating paths on Windows OS with semicolon doesn't work for TCLLIBPATH).

Tuesday, June 29, 2010

Generate mapping creation tcl script

I started development of OMB*Plus program for generating mapping creation script (sometime it is better to use OMB for moving OWB objects to other environment).

Current status - implemented processing for 50% of operators (see table below) and processed a limited list of operator properties (for example not processed EXTRACTION_HINTS, SCHEMA, etc. properties). You can download it from map_reconstruct.tcl.

Implemented operator processing

Operator typePlaned to implementImplementedProcessed operator properties

Thursday, May 27, 2010

OWB11g R2 impressions

Standalone version of OWB11g R2 for Windows has been released in april 2010. This event pushed me to deep learning of new OWB release.

What is good:
1) now OWB is multiplatform tool which allow to use any RDBMS as target

What is bad:
1) bug which prevent deployment of processflow packages from Design Center/Control Center Manager
2) by default OWB generate execution unit in Template Mapping with the same name (worlaround - always rename execution unit and that name is unique across target/stage database)
3) substitution API differs from ODI (API calls work in different way than in ODI)
4) new OWB GUI is less usable (slower and provide smaler working area in mapping/processflow editors) compared to previous release